(Brief)
Restate only the lines further down with the word "meV" in them.

(Contents)
# 1
# KSbPt3

A relaxed structure of KSbPt3 (PBE, Alexandria via LeMat-Bulk).

**Offset from the most stable computed form**: 558 meV/atom
**Raw formation energy**: 0.29 eV/atom

```
KSbPt3
1.0
-2.682 3.589 2.374
0.189 -2.696 4.289
4.298 2.357 1.292
Pt Sb K
3 1 1
direct
0.000 0.500 0.000
0.000 0.000 0.500
0.500 0.000 0.000
0.000 0.000 0.000
0.500 0.500 0.500
```

=====

# 2
# K2Sb5Pt3

A relaxed structure of K2Sb5Pt3 (PBE, Alexandria via LeMat-Bulk).

**Raw formation energy**: -0.41 eV/atom

```
K2Sb5Pt3
1.0
-1.810 6.758 -0.398
-8.652 1.109 -3.502
-5.834 2.479 6.941
K Sb Pt
4 10 6
direct
0.136 0.612 0.117
0.364 0.883 0.388
0.864 0.388 0.883
0.636 0.117 0.612
0.501 0.749 0.749
0.902 0.954 0.242
0.750 0.500 0.500
0.999 0.251 0.251
0.499 0.251 0.251
0.402 0.242 0.954
0.098 0.046 0.758
0.250 0.500 0.500
0.598 0.758 0.046
0.001 0.749 0.749
0.750 0.000 0.000
0.373 0.515 0.738
0.873 0.738 0.515
0.627 0.485 0.262
0.250 0.000 0.000
0.127 0.262 0.485
```

=====

# 3
# KSbPt3

A relaxed structure of KSbPt3 (PBE, Alexandria via LeMat-Bulk).

**Offset from the most stable computed form**: 0 meV/atom
**Raw formation energy**: -0.27 eV/atom

```
KSbPt3
1.0
-3.808 -4.042 3.299
4.795 -2.192 2.849
1.265 5.868 2.387
Pt K Sb
6 2 2
direct
0.348 0.948 0.449
0.305 0.198 0.068
0.305 0.697 0.068
0.729 0.197 0.492
0.729 0.698 0.492
0.686 0.448 0.112
0.262 0.448 0.536
0.773 0.948 0.024
0.120 0.948 0.678
0.914 0.448 0.883
```

=====

# 4
# KSb2Pt3

A relaxed structure of KSb2Pt3 (PBE, Alexandria via LeMat-Bulk).

**Offset from the most stable computed form**: 6 meV/atom
**Raw formation energy**: -0.40 eV/atom

```
KSb2Pt3
1.0
4.170 0.000 0.000
-2.085 8.174 0.209
0.000 -3.463 8.345
Pt Sb K
6 4 2
direct
0.418 0.836 0.348
0.687 0.375 0.453
0.582 0.164 0.652
0.054 0.107 0.398
0.946 0.893 0.602
0.313 0.625 0.547
0.811 0.622 0.321
0.533 0.066 0.208
0.189 0.378 0.679
0.467 0.934 0.792
0.150 0.300 0.044
0.850 0.700 0.956
```

=====

# 5
# KSb2Pt5

A relaxed structure of KSb2Pt5 (PBE, Alexandria via LeMat-Bulk).

**Raw formation energy**: -0.26 eV/atom

```
KSb2Pt5
1.0
4.146 0.000 0.000
2.073 6.407 0.394
2.073 1.565 6.226
Pt Sb K
5 2 1
direct
0.641 0.172 0.546
0.359 0.454 0.828
0.000 0.500 0.500
0.641 0.546 0.172
0.359 0.828 0.454
0.255 0.245 0.245
0.745 0.755 0.755
0.000 0.000 0.000
```

=====

# 6
# K2Sb2Pt3

A relaxed structure of K2Sb2Pt3 (PBE, Alexandria via LeMat-Bulk).

**Raw formation energy**: -0.44 eV/atom

```
K2Sb2Pt3
1.0
4.240 0.000 0.000
-2.120 6.281 -1.279
0.000 -4.665 8.343
Pt K Sb
3 2 2
direct
0.318 0.635 0.619
0.682 0.365 0.381
0.500 0.000 0.000
0.919 0.838 0.241
0.081 0.162 0.759
0.184 0.368 0.225
0.816 0.632 0.775
```

=====

# 7
# K2Sb4Pt5

A relaxed structure of K2Sb4Pt5 (PBE, Alexandria via LeMat-Bulk).

**Raw formation energy**: -0.38 eV/atom

```
K2Sb4Pt5
1.0
-3.673 3.590 2.633
-6.228 0.961 -3.671
-4.827 -3.894 4.902
Sb Pt K
4 5 2
direct
0.775 0.697 0.753
0.472 0.303 0.753
0.225 0.303 0.247
0.528 0.697 0.247
0.000 0.500 0.000
0.250 0.500 0.500
0.750 0.500 0.500
0.500 0.000 0.000
0.500 0.500 0.000
0.134 0.000 0.732
0.866 0.000 0.268
```

=====

# 8
# K3Sb4Pt

A relaxed structure of K3Sb4Pt (PBE, Alexandria via LeMat-Bulk).

**Raw formation energy**: -0.32 eV/atom

```
K3Sb4Pt
1.0
6.285 0.000 0.000
0.000 6.783 0.000
0.000 0.000 12.962
Sb K Pt
8 6 2
direct
0.987 0.761 0.500
0.349 0.500 0.872
0.987 0.239 0.500
0.651 0.000 0.628
0.013 0.261 0.000
0.013 0.739 0.000
0.349 0.500 0.128
0.651 0.000 0.372
0.157 0.000 0.246
0.843 0.500 0.746
0.157 0.000 0.754
0.525 0.000 0.000
0.843 0.500 0.254
0.475 0.500 0.500
0.324 0.000 0.500
0.676 0.500 0.000
```

=====

# 9
# K4Sb4Pt

A relaxed structure of K4Sb4Pt (PBE, Alexandria via LeMat-Bulk).

**Raw formation energy**: -0.33 eV/atom

```
K4Sb4Pt
1.0
5.144 -9.353 0.304
-3.660 -10.023 0.432
-0.793 9.517 -4.780
K Sb Pt
4 4 1
direct
0.911 0.387 0.000
0.613 0.613 0.525
0.089 0.089 0.475
0.387 0.911 0.000
0.324 0.324 0.577
0.747 0.747 0.423
0.253 0.676 0.000
0.676 0.253 0.000
0.000 0.000 0.000
```

=====

# 10

(Done)
**Offset from the most stable computed form**: 558 meV/atom
**Offset from the most stable computed form**: 0 meV/atom
**Offset from the most stable computed form**: 6 meV/atom